CT GOP Seeks Meeting with Gov. Lamont to Discuss Special Session on Rising Electricity Costs

August 16, 2024

House Republican Leader Vincent J. Candelora and Senate Republican Leader Stephen Harding today sent this letter to the governor.

Dear Governor Lamont,

# Someone pasted quantum chemistry results at this point
<<<
[1]
ORCA calculation (ωB97M-V/def2-TZVPD) on a gas-phase ion, C7H14N (charge +1).

```
22
Properties=species:S:1:pos:R:3:mulliken_charge:R:1
H -1.16943 1.78211 0.86389 0.344
C 1.01845 -1.44796 0.58465 -0.315
H 4.48754 -1.04405 0.60404 0.277
H 3.65401 -2.72149 0.89249 0.303
H 0.36013 -0.37164 -1.15188 0.064
N -1.18922 2.07328 -1.34028 -0.352
H -3.31829 0.04051 0.45888 0.318
C 2.29035 -1.07342 0.28953 -0.111
C -2.44250 0.31244 -0.21415 -0.788
H -0.36180 2.70716 -1.05329 0.377
C -1.87958 1.65958 -0.02153 -0.379
C -1.46162 -0.82237 0.14717 -0.190
H -0.96912 1.23386 -1.87624 0.332
H 0.80635 -2.15881 1.37024 0.379
C -0.13929 -0.91048 -0.16979 -0.027
C 3.51987 -1.62652 0.89939 -1.067
H -2.67145 2.49773 0.20127 0.365
H -1.90952 -1.42520 0.96893 0.285
H -2.87592 0.26179 -1.26562 0.328
H -1.83893 2.72912 -1.80774 0.377
H 2.57781 -0.19227 -0.38677 0.174
H 3.51215 -1.50334 2.00680 0.308
```

Calculated values
- total charge = +1
- energy (Ha) = -329.52323
- LUMO energy (eV) = -3.66
- SMILES = C/C=C/C=C/CC[NH3+]
- energy above the lowest of the compared OMol25 structures with the same formula, charge and spin (eV) = 2.294
- F_max (eV/A) = 3.55
- HOMO energy (eV) = -11.699

[2]
ORCA calculation (ωB97M-V/def2-TZVPD) on a molecular structure, C17H27IN6OSV.

```
54
Properties=species:S:1:pos:R:3:mulliken_charge:R:1
C 3.23188 -1.16293 3.74484 -0.547
C -3.42579 -3.60472 -2.55957 -0.434
H 3.80342 -1.98251 3.30563 0.287
C -2.14084 1.17191 -1.88432 0.515
O 1.01304 0.04227 1.13508 -0.018
N -1.73639 0.03843 -1.41513 0.867
C 0.25479 2.96335 0.18001 -0.013
N 3.16609 0.66298 1.62160 0.324
H 3.49230 0.86496 4.37075 0.315
C -0.91786 4.64538 -1.01748 -0.470
V -0.28888 0.00302 -0.00913 0.643
H 4.83819 1.56551 2.46392 0.383
H -3.62285 2.29950 -2.94331 0.422
H -5.45638 -3.35171 -1.83889 0.298
H -5.29194 -3.40282 -3.59617 0.361
H -0.05506 -1.23205 2.86162 0.312
H -2.79104 -3.24584 -3.36656 0.255
C 2.11006 -0.07313 1.90210 0.213
H 3.47121 2.49209 0.63777 0.352
H -2.96708 0.89257 -3.80833 0.307
H -1.10646 5.68732 -1.25071 0.465
C 0.85315 -1.75754 3.12630 -0.998
C 0.04477 4.30159 -0.08706 -1.104
C -4.83246 -3.03704 -2.67740 -0.883
H 0.19996 -1.42303 -2.16090 0.591
C -3.27119 1.27819 -2.83126 -1.390
C -1.65593 3.64336 -1.64676 -0.805
H -4.08588 0.64172 -2.49115 0.274
H 2.45111 1.34526 -0.24893 0.203
H 0.62672 5.05284 0.43021 0.458
I 2.29320 -2.28389 -0.81676 0.091
N -2.39855 -1.08083 -1.87656 -1.204
H -4.81361 -1.94802 -2.71552 0.152
H 4.18402 1.07833 -0.15662 0.333
H 1.39786 -0.11004 -2.08474 0.489
H 2.88412 -1.48230 4.72198 0.377
H 0.99211 2.64926 0.90457 0.620
S -1.44213 -1.85378 0.54651 -0.517
H 0.80273 -2.00438 4.18266 0.419
H 4.97102 -0.09128 4.39752 0.374
N -0.43389 1.99187 -0.44434 0.170
C 3.31512 1.44273 0.38824 -1.001
N 2.03750 -0.90667 2.91091 0.093
H -2.42905 3.89056 -2.36123 0.390
N -2.75942 -3.26509 -1.28895 -0.137
H 0.92704 -2.67591 2.54645 0.305
C 4.05690 0.09822 3.83880 -0.713
C 4.39112 0.57470 2.44603 -0.627
C -2.26789 -2.06661 -1.01617 0.642
>>>

As a follow up to our joint letter dated August 9, 2024, and in response to your statement to the press, we are again seeking action from your office to convene a meeting of caucus leaders to discuss a call to special session for the purpose of providing relief to Eversource and United Illuminating ratepayers. In the beginning of July, electric customers saw a drastic increase in the public benefits portion of their electric bills, and the additional increase approved by PURA yesterday makes it unconscionable for us to sit idle while thousands have signed petitions and called their elected officials demanding action. At the very least a joint meeting facilitated by your office should be convened to address this situation immediately.

As you know, according to the Comptroller, the General Fund will end Fiscal Year 2024 with a surplus of $329 million—which could cover the government mandated arrearage costs imposed on the utilities and paid for by all ratepayers. This one time surplus could also absorb the expenses of the new electric vehicle charging program. We believe that the use of these one-time surplus dollars could provide immediate relief to ratepayers. This laudable goal is achievable if we act in a timely manner without violating any of the fiscal guardrails, as the mechanism to achieve this solution has been employed in the past.

You may also be aware of the long-term proposals that Senate and House Republicans have offered since February that would address the high electricity costs that residents are experiencing. These effects are the direct result of the public policies implemented by the Democrat-led legislature and the state. While it may be politically convenient for some to ask PURA to delay or amortize such costs to reduce the price shock, the obligation to discuss all options should be a priority of your office. We believe that policy decisions are the purview of the legislature and until we as a body act to address those public policies, deferring to PURA to do so does little to address the high long-term costs we face today and in the outyears, when additional policies will begin to be implemented.

The constructive ideas put forward by House and Senate Republicans should not be summarily dismissed and while we may disagree on some of the policy perspectives, there is no reason why we can’t meet to find bipartisan solutions. House and Senate Republicans are eager and willing to help address rising electricity costs. We await your response and will prioritize our time to make such a meeting work.


Representative Vincent Candelora

Senator Stephen Harding